• Activity:
Your job: start at the top of the data underneath and restate each line, ending with the one that has "_cell_angle_alpha 90.00".

• Listing:
=====
No. 1
DFT (PBE) results for an optimized crystal structure of Ba2MgOsO6.

Symmetry   Fm-3m (225)
ΔE_f   -26.03 eV per formula unit

POSCAR file:
```
Ba2MgOsO6
1.0
0.000 4.087 4.087
4.087 0.000 4.087
4.087 4.087 0.000
Ba Mg Os O
2 1 1 6
Cartesian
2.044 2.044 2.044
6.131 6.131 6.131
0.000 0.000 0.000
4.087 4.087 4.087
4.087 4.087 2.131
4.087 2.131 4.087
6.044 4.087 4.087
2.131 4.087 4.087
4.087 6.044 4.087
4.087 4.087 6.044
```

=====

No. 2
DFT (PBE) results for an optimized crystal structure of Ba2MgP2O8.

Symmetry   P2_1/c (14)
ΔE_f   -42.03 eV per formula unit

POSCAR file:
```
Ba2MgP2O8
1.0
5.395 0.000 0.000
0.000 8.965 0.000
-5.247 0.000 16.339
Ba Mg P O
8 4 8 32
Cartesian
-1.291 1.413 4.434
-3.915 3.070 12.604
-4.165 6.311 16.017
-1.541 7.136 7.847
1.689 1.828 8.492
4.313 2.654 0.322
4.063 5.895 3.735
1.439 7.552 11.905
1.492 0.147 2.188
-1.132 4.336 10.357
1.280 4.629 5.982
-1.344 8.818 14.151
-3.836 0.791 15.073
-1.212 3.692 6.903
-1.250 0.973 10.893
1.373 3.509 2.723
-1.225 5.455 13.616
1.398 7.992 5.446
1.360 5.273 9.436
3.983 8.174 1.266
-2.726 5.699 10.182
-0.102 7.748 2.013
1.158 0.764 0.245
-1.465 3.718 8.414
-1.814 0.239 9.637
0.810 4.243 1.468
-0.754 5.071 6.329
-3.377 8.376 14.499
-2.785 5.459 13.635
-0.161 7.988 5.466
0.813 2.044 2.740
-1.811 2.438 10.910
-2.689 1.782 14.721
-0.065 2.700 6.552
-1.766 0.245 12.173
0.857 4.237 4.003
-0.709 4.727 12.336
1.914 8.720 4.166
0.213 6.265 9.787
2.837 7.182 1.618
1.958 6.527 5.429
-0.665 6.920 13.599
0.309 0.977 10.873
2.933 3.505 2.704
3.525 0.589 1.840
0.901 3.894 10.010
-0.662 4.722 14.871
1.962 8.725 6.702
1.613 5.247 7.925
-1.010 8.200 16.094
0.250 1.216 14.326
2.874 3.266 6.157
```

=====

No. 3
DFT (PBE) results for an optimized crystal structure of Ba6MgP6O21.

Symmetry   Pm (6)
Relative energy among the computed polymorphs   11 meV per atom
ΔE_f   -102.86 eV per formula unit

POSCAR file:
```
Ba6MgP6O21
1.0
9.316 0.000 0.000
0.000 7.292 0.000
-3.655 0.000 9.026
Ba Mg P O
6 1 6 21
Cartesian
0.000 0.000 0.000
-1.030 3.646 2.779
-0.688 3.646 8.676
1.503 0.000 6.511
5.484 0.000 2.818
4.775 3.646 6.331
1.364 3.646 5.288
-1.736 1.569 5.914
-1.736 5.722 5.914
1.860 1.552 2.632
1.860 5.740 2.632
2.880 2.057 8.982
2.880 5.234 8.982
-2.642 1.717 7.146
-2.642 5.575 7.146
-1.270 0.000 5.790
1.348 2.084 1.276
1.348 5.207 1.276
-0.383 2.246 6.145
-0.383 5.046 6.145
1.299 0.000 2.634
1.071 2.182 3.792
1.071 5.109 3.792
3.366 1.550 2.799
3.366 5.742 2.799
1.376 1.847 8.896
1.376 5.444 8.896
3.650 1.491 7.781
3.650 5.801 7.781
3.296 3.646 8.979
7.142 1.580 1.294
7.142 5.712 1.294
6.841 1.935 4.615
6.841 5.357 4.615
```

=====

No. 4
DFT (PBE) results for an optimized crystal structure of Ba6MgP6O21.

Symmetry   Amm2 (38)
Relative energy among the computed polymorphs   0 meV per atom
ΔE_f   -103.23 eV per formula unit

POSCAR file:
```
Ba6MgP6O21
1.0
7.255 0.000 0.000
0.000 8.564 4.683
0.000 -8.564 4.683
Ba Mg P O
6 1 6 21
Cartesian
0.000 0.000 0.000
0.000 -2.689 3.895
0.000 2.689 3.895
3.628 -5.241 5.679
3.628 0.000 6.678
3.628 5.241 5.679
0.000 0.000 5.831
1.585 -2.907 7.518
1.585 2.907 7.518
2.074 0.000 2.888
5.181 0.000 2.888
5.670 -2.907 7.518
5.670 2.907 7.518
0.000 -5.518 3.270
0.000 5.518 3.270
1.384 0.000 4.270
1.729 -2.791 6.003
1.729 2.791 6.003
1.783 -1.282 2.097
1.783 1.282 2.097
2.107 -1.711 8.323
2.107 1.711 8.323
2.147 -4.322 3.350
2.147 4.322 3.350
3.628 0.000 3.354
5.108 -4.322 3.350
5.108 4.322 3.350
5.148 -1.711 8.323
5.148 1.711 8.323
5.473 -1.282 2.097
5.473 1.282 2.097
5.527 -2.791 6.003
5.527 2.791 6.003
5.871 0.000 4.270
```

----------

[1]
# GGA-PBE Nd3Cd2Si3O13, relaxed
data_Nd3Cd2Si3O13
_chemical_formula_sum 'Nd6 Cd4 Si6 O26'
_space_group_name_H-M_alt 'P 1'
_space_group_IT_number 1
_space_group_name_Hall 'P 1'
_cell_length_a 9.649
_cell_length_b 9.649
_cell_length_c 7.010
_cell_angle_alpha 90.00
_cell_angle_beta 90.00
_cell_angle_gamma 120.00
loop_
_atom_site_label
_atom_site_fract_x
_atom_site_fract_y
_atom_site_fract_z
O1 0.247 0.915 0.433
=====

• Worked solution:
No. 1
DFT (PBE) results for an optimized crystal structure of Ba2MgOsO6.

Symmetry   Fm-3m (225)
ΔE_f   -26.03 eV per formula unit

POSCAR file:
```
Ba2MgOsO6
1.0
0.000 4.087 4.087
4.087 0.000 4.087
4.087 4.087 0.000
Ba Mg Os O
2 1 1 6
Cartesian
2.044 2.044 2.044
6.131 6.131 6.131
0.000 0.000 0.000
4.087 4.087 4.087
4.087 4.087 2.131
4.087 2.131 4.087
6.044 4.087 4.087
2.131 4.087 4.087
4.087 6.044 4.087
4.087 4.087 6.044
```

=====

No. 2
DFT (PBE) results for an optimized crystal structure of Ba2MgP2O8.

Symmetry   P2_1/c (14)
ΔE_f   -42.03 eV per formula unit

POSCAR file:
```
Ba2MgP2O8
1.0
5.395 0.000 0.000
0.000 8.965 0.000
-5.247 0.000 16.339
Ba Mg P O
8 4 8 32
Cartesian
-1.291 1.413 4.434
-3.915 3.070 12.604
-4.165 6.311 16.017
-1.541 7.136 7.847
1.689 1.828 8.492
4.313 2.654 0.322
4.063 5.895 3.735
1.439 7.552 11.905
1.492 0.147 2.188
-1.132 4.336 10.357
1.280 4.629 5.982
-1.344 8.818 14.151
-3.836 0.791 15.073
-1.212 3.692 6.903
-1.250 0.973 10.893
1.373 3.509 2.723
-1.225 5.455 13.616
1.398 7.992 5.446
1.360 5.273 9.436
3.983 8.174 1.266
-2.726 5.699 10.182
-0.102 7.748 2.013
1.158 0.764 0.245
-1.465 3.718 8.414
-1.814 0.239 9.637
0.810 4.243 1.468
-0.754 5.071 6.329
-3.377 8.376 14.499
-2.785 5.459 13.635
-0.161 7.988 5.466
0.813 2.044 2.740
-1.811 2.438 10.910
-2.689 1.782 14.721
-0.065 2.700 6.552
-1.766 0.245 12.173
0.857 4.237 4.003
-0.709 4.727 12.336
1.914 8.720 4.166
0.213 6.265 9.787
2.837 7.182 1.618
1.958 6.527 5.429
-0.665 6.920 13.599
0.309 0.977 10.873
2.933 3.505 2.704
3.525 0.589 1.840
0.901 3.894 10.010
-0.662 4.722 14.871
1.962 8.725 6.702
1.613 5.247 7.925
-1.010 8.200 16.094
0.250 1.216 14.326
2.874 3.266 6.157
```

=====

No. 3
DFT (PBE) results for an optimized crystal structure of Ba6MgP6O21.

Symmetry   Pm (6)
Relative energy among the computed polymorphs   11 meV per atom
ΔE_f   -102.86 eV per formula unit

POSCAR file:
```
Ba6MgP6O21
1.0
9.316 0.000 0.000
0.000 7.292 0.000
-3.655 0.000 9.026
Ba Mg P O
6 1 6 21
Cartesian
0.000 0.000 0.000
-1.030 3.646 2.779
-0.688 3.646 8.676
1.503 0.000 6.511
5.484 0.000 2.818
4.775 3.646 6.331
1.364 3.646 5.288
-1.736 1.569 5.914
-1.736 5.722 5.914
1.860 1.552 2.632
1.860 5.740 2.632
2.880 2.057 8.982
2.880 5.234 8.982
-2.642 1.717 7.146
-2.642 5.575 7.146
-1.270 0.000 5.790
1.348 2.084 1.276
1.348 5.207 1.276
-0.383 2.246 6.145
-0.383 5.046 6.145
1.299 0.000 2.634
1.071 2.182 3.792
1.071 5.109 3.792
3.366 1.550 2.799
3.366 5.742 2.799
1.376 1.847 8.896
1.376 5.444 8.896
3.650 1.491 7.781
3.650 5.801 7.781
3.296 3.646 8.979
7.142 1.580 1.294
7.142 5.712 1.294
6.841 1.935 4.615
6.841 5.357 4.615
```

=====

No. 4
DFT (PBE) results for an optimized crystal structure of Ba6MgP6O21.

Symmetry   Amm2 (38)
Relative energy among the computed polymorphs   0 meV per atom
ΔE_f   -103.23 eV per formula unit

POSCAR file:
```
Ba6MgP6O21
1.0
7.255 0.000 0.000
0.000 8.564 4.683
0.000 -8.564 4.683
Ba Mg P O
6 1 6 21
Cartesian
0.000 0.000 0.000
0.000 -2.689 3.895
0.000 2.689 3.895
3.628 -5.241 5.679
3.628 0.000 6.678
3.628 5.241 5.679
0.000 0.000 5.831
1.585 -2.907 7.518
1.585 2.907 7.518
2.074 0.000 2.888
5.181 0.000 2.888
5.670 -2.907 7.518
5.670 2.907 7.518
0.000 -5.518 3.270
0.000 5.518 3.270
1.384 0.000 4.270
1.729 -2.791 6.003
1.729 2.791 6.003
1.783 -1.282 2.097
1.783 1.282 2.097
2.107 -1.711 8.323
2.107 1.711 8.323
2.147 -4.322 3.350
2.147 4.322 3.350
3.628 0.000 3.354
5.108 -4.322 3.350
5.108 4.322 3.350
5.148 -1.711 8.323
5.148 1.711 8.323
5.473 -1.282 2.097
5.473 1.282 2.097
5.527 -2.791 6.003
5.527 2.791 6.003
5.871 0.000 4.270
```

----------

[1]
# GGA-PBE Nd3Cd2Si3O13, relaxed
data_Nd3Cd2Si3O13
_chemical_formula_sum 'Nd6 Cd4 Si6 O26'
_space_group_name_H-M_alt 'P 1'
_space_group_IT_number 1
_space_group_name_Hall 'P 1'
_cell_length_a 9.649
_cell_length_b 9.649
_cell_length_c 7.010
_cell_angle_alpha 90.00